+++
1.
A plane-wave DFT calculation with GGA-PBE was carried out for a relaxed structure of ZrTaGe2.

```
4
Lattice="0.000 3.294 3.294 3.294 0.000 3.294 3.294 3.294 0.000" Properties=species:S:1:pos:R:3 pbc="T T T"
Ge 1.647 1.647 1.647
Ta 3.294 3.294 3.294
Ge 4.941 4.941 4.941
Zr 0.000 0.000 0.000
```

Properties
Offset from the most stable computed form in eV per atom: 0.175
E in eV per atom: -7.58
ΔH_f (0 K) in meV per atom: -172


2.
A plane-wave DFT calculation with GGA-PBE was carried out for a relaxed structure of Na10B13C7.

```
30
Lattice="2.874 0.000 0.000 -1.437 2.489 0.000 0.000 0.000 42.572" Properties=species:S:1:pos:R:3 pbc="T T T"
B 1.437 0.830 27.727
C 1.437 0.830 14.930
B 0.000 1.659 6.444
C 0.000 1.659 36.136
C 1.437 0.830 40.338
Na 0.000 0.000 4.253
Na 0.000 0.000 25.597
Na 0.000 0.000 42.463
B 0.000 1.659 23.426
C 0.000 1.659 10.737
Na 0.000 0.000 34.034
Na 0.000 0.000 38.240
C 0.000 1.659 27.730
C 0.000 1.659 19.126
C 1.437 0.830 31.934
B 1.437 0.830 2.062
B 0.000 1.659 14.931
Na 0.000 0.000 29.827
B 0.000 1.659 31.933
B 1.437 0.830 10.734
B 1.437 0.830 19.129
B 1.437 0.830 23.426
Na 0.000 0.000 8.615
B 1.437 0.830 36.136
B 0.000 1.659 40.340
Na 0.000 0.000 17.031
Na 0.000 0.000 21.256
B 1.437 0.830 6.444
Na 0.000 0.000 12.832
B 0.000 1.659 2.062
```

Properties
Offset from the most stable computed form in eV per atom: 0.032
E in eV per atom: -5.37
ΔH_f (0 K) in meV per atom: 118


3.
A plane-wave DFT calculation with GGA-PBE was carried out for a relaxed structure of NbTc2W6.

```
9
Lattice="-2.519 3.526 1.218 -2.886 -0.564 -4.350 1.934 -4.633 9.100" Properties=species:S:1:pos:R:3 pbc="T T T"
W -2.006 0.616 2.384
W -2.480 1.191 -0.254
Nb 0.000 0.000 0.000
W -1.464 -2.287 3.585
Tc -1.024 -0.504 7.664
W -0.990 -2.862 6.223
W -1.521 0.049 5.025
Tc -2.447 -1.167 -1.695
W -1.950 -1.719 0.943
```

Properties
E in eV per atom: -12.05
ΔH_f (0 K) in meV per atom: 4

----------

Record 1
# TlNiRuF6

Crystalline TlNiRuF6 at its relaxed geometry (GGA+U, Alexandria via LeMat-Bulk).

a b c (Å): 5.4221 9.3730 6.1018
angles (deg): 90.00 90.17 90.00
Space group C2 (No. 5)
One atom of each set of equivalent atoms:
Tl: 0.0000 0.0000 0.0000 [2 per cell]
Ni: 0.0000 0.6668 0.5000 [2 per cell]
Ru: 0.0000 0.3332 0.5000 [2 per cell]
F: 0.1342 0.4991 0.6788 [4 per cell]
F: 0.1829 0.1838 0.6791 [4 per cell]
F: 0.1856 0.8170 0.6792 [4 per cell]

Properties
Total DFT energy (no corrections) in Ha/atom: -0.171
Volume in A^3/atom: 17.228
Theoretical density in g/cm3: 5.12

***

Record 2
# ZnNiRuF2

Crystalline ZnNiRuF2 at its relaxed geometry (GGA+U, Alexandria via LeMat-Bulk).

a b c (Å): 3.7652 3.7652 5.7555
angles (deg): 90.00 90.00 90.00
Space group P4/mmm (No. 123)
One atom of each set of equivalent atoms:
Zn: 0.0000 0.0000 0.0000 [1 per cell]
Ni: 0.0000 0.0000 0.5000 [1 per cell]
Ru: 0.5000 0.5000 0.5000 [1 per cell]
F: 0.0000 0.5000 0.0000 [2 per cell]

Properties
Total DFT energy (no corrections) in Ha/atom: -0.130
Volume in A^3/atom: 16.318
Theoretical density in g/cm3: 5.36

***

Record 3
# Ni3SF

Crystalline Ni3SF at its relaxed geometry (GGA+U, Alexandria via LeMat-Bulk).

a b c (Å): 4.2226 4.2226 4.2226
angles (deg): 90.00 90.00 90.00
Space group Pm-3m (No. 221)
One atom of each set of equivalent atoms:
Ni: 0.0000 0.0000 0.5000 [3 per cell]
S: 0.0000 0.0000 0.0000 [1 per cell]
F: 0.5000 0.5000 0.5000 [1 per cell]

Properties
Total DFT energy (no corrections) in Ha/atom: -0.086
Polymorph energy (0 for the lowest one) in meV/atom: 352
Volume in A^3/atom: 15.058
Theoretical density in g/cm3: 5.01

***

Record 4
# NiS3F

Crystalline NiS3F at its relaxed geometry (GGA+U, Alexandria via LeMat-Bulk).

a b c (Å): 4.3300 4.3300 4.3300
angles (deg): 90.00 90.00 90.00
Space group Pm-3m (No. 221)
One atom of each set of equivalent atoms:
Ni: 0.0000 0.0000 0.0000 [1 per cell]
S: 0.0000 0.0000 0.5000 [3 per cell]
F: 0.5000 0.5000 0.5000 [1 per cell]

Properties
Total DFT energy (no corrections) in Ha/atom: -0.096
+++

What is needed: reproduce the listing above unchanged.

1.
A plane-wave DFT calculation with GGA-PBE was carried out for a relaxed structure of ZrTaGe2.

```
4
Lattice="0.000 3.294 3.294 3.294 0.000 3.294 3.294 3.294 0.000" Properties=species:S:1:pos:R:3 pbc="T T T"
Ge 1.647 1.647 1.647
Ta 3.294 3.294 3.294
Ge 4.941 4.941 4.941
Zr 0.000 0.000 0.000
```

Properties
Offset from the most stable computed form in eV per atom: 0.175
E in eV per atom: -7.58
ΔH_f (0 K) in meV per atom: -172


2.
A plane-wave DFT calculation with GGA-PBE was carried out for a relaxed structure of Na10B13C7.

```
30
Lattice="2.874 0.000 0.000 -1.437 2.489 0.000 0.000 0.000 42.572" Properties=species:S:1:pos:R:3 pbc="T T T"
B 1.437 0.830 27.727
C 1.437 0.830 14.930
B 0.000 1.659 6.444
C 0.000 1.659 36.136
C 1.437 0.830 40.338
Na 0.000 0.000 4.253
Na 0.000 0.000 25.597
Na 0.000 0.000 42.463
B 0.000 1.659 23.426
C 0.000 1.659 10.737
Na 0.000 0.000 34.034
Na 0.000 0.000 38.240
C 0.000 1.659 27.730
C 0.000 1.659 19.126
C 1.437 0.830 31.934
B 1.437 0.830 2.062
B 0.000 1.659 14.931
Na 0.000 0.000 29.827
B 0.000 1.659 31.933
B 1.437 0.830 10.734
B 1.437 0.830 19.129
B 1.437 0.830 23.426
Na 0.000 0.000 8.615
B 1.437 0.830 36.136
B 0.000 1.659 40.340
Na 0.000 0.000 17.031
Na 0.000 0.000 21.256
B 1.437 0.830 6.444
Na 0.000 0.000 12.832
B 0.000 1.659 2.062
```

Properties
Offset from the most stable computed form in eV per atom: 0.032
E in eV per atom: -5.37
ΔH_f (0 K) in meV per atom: 118


3.
A plane-wave DFT calculation with GGA-PBE was carried out for a relaxed structure of NbTc2W6.

```
9
Lattice="-2.519 3.526 1.218 -2.886 -0.564 -4.350 1.934 -4.633 9.100" Properties=species:S:1:pos:R:3 pbc="T T T"
W -2.006 0.616 2.384
W -2.480 1.191 -0.254
Nb 0.000 0.000 0.000
W -1.464 -2.287 3.585
Tc -1.024 -0.504 7.664
W -0.990 -2.862 6.223
W -1.521 0.049 5.025
Tc -2.447 -1.167 -1.695
W -1.950 -1.719 0.943
```

Properties
E in eV per atom: -12.05
ΔH_f (0 K) in meV per atom: 4

----------

Record 1
# TlNiRuF6

Crystalline TlNiRuF6 at its relaxed geometry (GGA+U, Alexandria via LeMat-Bulk).

a b c (Å): 5.4221 9.3730 6.1018
angles (deg): 90.00 90.17 90.00
Space group C2 (No. 5)
One atom of each set of equivalent atoms:
Tl: 0.0000 0.0000 0.0000 [2 per cell]
Ni: 0.0000 0.6668 0.5000 [2 per cell]
Ru: 0.0000 0.3332 0.5000 [2 per cell]
F: 0.1342 0.4991 0.6788 [4 per cell]
F: 0.1829 0.1838 0.6791 [4 per cell]
F: 0.1856 0.8170 0.6792 [4 per cell]

Properties
Total DFT energy (no corrections) in Ha/atom: -0.171
Volume in A^3/atom: 17.228
Theoretical density in g/cm3: 5.12

***

Record 2
# ZnNiRuF2

Crystalline ZnNiRuF2 at its relaxed geometry (GGA+U, Alexandria via LeMat-Bulk).

a b c (Å): 3.7652 3.7652 5.7555
angles (deg): 90.00 90.00 90.00
Space group P4/mmm (No. 123)
One atom of each set of equivalent atoms:
Zn: 0.0000 0.0000 0.0000 [1 per cell]
Ni: 0.0000 0.0000 0.5000 [1 per cell]
Ru: 0.5000 0.5000 0.5000 [1 per cell]
F: 0.0000 0.5000 0.0000 [2 per cell]

Properties
Total DFT energy (no corrections) in Ha/atom: -0.130
Volume in A^3/atom: 16.318
Theoretical density in g/cm3: 5.36

***

Record 3
# Ni3SF

Crystalline Ni3SF at its relaxed geometry (GGA+U, Alexandria via LeMat-Bulk).

a b c (Å): 4.2226 4.2226 4.2226
angles (deg): 90.00 90.00 90.00
Space group Pm-3m (No. 221)
One atom of each set of equivalent atoms:
Ni: 0.0000 0.0000 0.5000 [3 per cell]
S: 0.0000 0.0000 0.0000 [1 per cell]
F: 0.5000 0.5000 0.5000 [1 per cell]

Properties
Total DFT energy (no corrections) in Ha/atom: -0.086
Polymorph energy (0 for the lowest one) in meV/atom: 352
Volume in A^3/atom: 15.058
Theoretical density in g/cm3: 5.01

***

Record 4
# NiS3F

Crystalline NiS3F at its relaxed geometry (GGA+U, Alexandria via LeMat-Bulk).

a b c (Å): 4.3300 4.3300 4.3300
angles (deg): 90.00 90.00 90.00
Space group Pm-3m (No. 221)
One atom of each set of equivalent atoms:
Ni: 0.0000 0.0000 0.0000 [1 per cell]
S: 0.0000 0.0000 0.5000 [3 per cell]
F: 0.5000 0.5000 0.5000 [1 per cell]

Properties
Total DFT energy (no corrections) in Ha/atom: -0.096